Work order:
Search the lines further down for the word "coordinates" and repeat each line that has it.

Material:
'''
# 1
DFT (ωB97M-V/def2-TZVPD) results for 18 unconnected molecules or ions with the total composition C30H34Cl51F9N2O5PS in a non-equilibrium geometry.

Each line ends with the Mulliken charge.
Cartesian coordinates (Å):
Cl (0.6017, 3.2777, 1.4028)  0.029
Cl (5.3205, -6.7617, 9.2491)  -0.124
Cl (2.3290, -11.2698, -8.6818)  -0.095
Cl (-6.0699, 8.0878, 4.9669)  -0.004
Cl (-6.1501, 10.8897, 4.2130)  -0.122
Cl (4.2282, -4.3286, -0.1774)  -0.007
Cl (-1.0428, -2.3679, 8.8140)  -0.128
Cl (2.0952, 5.5118, 6.0417)  -0.005
Cl (4.7670, -5.4648, 6.7115)  -0.087
Cl (-8.4035, 9.1594, 3.6072)  -0.131
Cl (-5.2244, 5.8308, 7.1581)  -0.108
Cl (2.5388, 5.9628, 8.8761)  -0.115
Cl (0.2284, 3.3154, 7.5226)  -0.080
Cl (4.2176, 7.2927, 6.9167)  -0.137
Cl (-2.7914, -6.0756, -7.6646)  -0.075
Cl (3.1931, -4.7959, 9.0615)  -0.086
Cl (0.9081, 9.8014, 3.1349)  -0.103
Cl (-3.9263, 6.2122, 3.9240)  -0.025
Cl (0.6905, -3.8079, 6.9863)  0.010
Cl (1.4800, -10.8516, -2.5639)  -0.111
Cl (-3.5234, 7.3643, 1.2839)  -0.161
Cl (1.0656, -11.5413, -5.3518)  -0.057
Cl (-2.7313, 7.3337, 7.0697)  0.046
Cl (0.8318, -13.6976, -8.1242)  -0.123
Cl (4.5742, -4.5009, 2.7024)  -0.038
Cl (4.6664, -7.6850, -2.2439)  -0.095
Cl (-2.1495, -3.5850, 6.4200)  -0.121
Cl (3.5075, -2.7871, 5.6144)  -0.001
Cl (3.4317, 1.3546, 0.9780)  -0.053
Cl (-5.1634, -5.3451, 0.8855)  -0.135
Cl (1.9579, -6.7030, -2.5994)  -0.089
Cl (-2.3596, -5.7126, 1.5573)  -0.122
Cl (4.2057, -5.1868, -3.6541)  -0.112
Cl (1.4117, -0.7727, 5.3903)  -0.123
Cl (-4.9092, 8.2341, 8.7606)  -0.111
Cl (0.4474, 9.3747, 5.9746)  -0.050
Cl (6.1047, -2.5656, 1.1686)  -0.091
Cl (-2.2113, 8.5193, 3.6067)  -0.024
Cl (-5.2558, -5.2594, -8.9580)  -0.103
Cl (5.9884, 1.4759, -0.3953)  -0.126
Cl (1.0003, 2.0270, 3.9719)  0.044
Cl (0.1524, 12.0264, 4.8358)  -0.108
Cl (-3.6180, -7.4284, -0.4201)  -0.128
Cl (-2.5696, 3.6011, 6.8443)  -0.089
Cl (2.9888, -1.4788, 3.0679)  -0.049
Cl (1.0675, -12.7293, -10.8507)  -0.123
Cl (-3.1338, -3.3181, -8.5599)  -0.127
Cl (-1.5340, 4.8335, 9.2635)  -0.144
Cl (3.0388, -9.5385, -4.6304)  -0.133
Cl (4.9082, 3.8512, 0.8794)  -0.122
Cl (-1.0820, 4.0206, 3.6580)  -0.014
S (0.7757, -4.1649, -4.3201)  -0.106
P (-0.5452, -3.0108, -5.0852)  0.379
F (2.4573, 4.6801, -6.6959)  -0.232
F (2.9393, 2.1723, -4.3279)  -0.250
F (4.2336, 3.5809, -5.9747)  -0.225
F (1.0944, 2.2604, -5.5332)  -0.308
F (2.7860, 2.6236, -7.2191)  -0.265
F (0.5801, 4.8124, -4.7234)  -0.289
F (0.5148, 4.7798, -2.1356)  -0.372
F (1.9498, 3.1613, -1.9616)  -0.144
F (2.5610, 4.9357, -3.8405)  -0.308
O (-2.3451, -3.4167, -1.5713)  -0.415
O (0.0700, -2.3366, -6.4319)  -0.465
O (-3.5208, -2.7210, -1.8993)  -0.219
O (-1.8485, -3.8473, -5.5476)  -0.339
O (-4.1108, 0.7955, -3.6731)  -0.501
N (-2.1288, -1.3868, -3.2262)  0.682
N (-0.6783, 0.1783, -2.6988)  0.828
C (5.3705, -4.1724, 1.1624)  -0.191
C (4.5201, 2.3624, 0.0169)  0.816
C (2.1074, 2.9817, -4.9980)  0.812
C (-3.3636, -2.1521, -3.1985)  -0.463
C (-2.7858, 7.0308, 2.8594)  0.266
C (3.5722, -6.8027, -3.3104)  -0.018
C (-0.2614, 2.6908, -2.7872)  -1.432
C (2.6002, 6.6822, 7.2681)  0.322
C (1.5325, 4.0972, -4.1049)  0.121
C (4.7860, -5.2732, 8.4698)  0.002
C (1.4709, -10.2524, -4.2218)  0.095
C (1.0383, 10.5064, 4.7483)  -0.081
C (-3.5720, -5.8075, 0.2741)  0.734
C (-3.7012, 1.4031, -2.4388)  -0.337
C (-0.9249, -3.7228, 7.6866)  -0.098
C (1.3263, -0.5732, -4.1663)  -1.677
C (-4.0888, 6.8296, 8.0801)  -0.014
C (-0.0671, -0.6798, -3.6197)  -0.060
C (-2.9398, 0.3328, -1.6165)  -1.089
C (-6.6478, 9.2535, 3.7767)  0.069
C (-1.9054, -0.2982, -2.5232)  0.346
C (-1.4080, 3.4547, 8.1645)  -0.045
C (1.8702, -12.8642, -9.2854)  0.057
C (-0.9400, -1.6428, -3.9450)  0.561
C (-0.0353, 1.3336, -2.0645)  -1.647
C (-3.5128, -5.0255, -8.8821)  -0.005
C (0.9486, 3.6361, -2.7350)  1.153
C (0.5300, 3.5131, 3.1543)  -0.249
C (2.9394, 3.5358, -6.2319)  0.613
C (3.0032, -1.2880, 4.8256)  -0.151
H (3.4959, -7.3442, -4.2445)  0.274
H (-2.4575, 0.8521, -0.7821)  0.412
H (3.7190, -0.5154, 5.0780)  0.316
'''

Written answer:
Cartesian coordinates (Å):